Listing
____________
A relaxed structure of Si2RhCl. Source: Alexandria, functional GGA-PBE.

Summary:
Raw formation energy ... 0.028 eV per atom
N(E_F) ... 0.24 states/eV per atom

Cell lengths 5.8884, 5.8884, 10.6603 Å; angles 90.00, 90.00, 90.00 degrees
Space group I-42d (No. 122)
One atom of each set of equivalent atoms:
Si 0.1807 0.2500 0.1250 (multiplicity 8)
Rh 0.0000 0.0000 0.0000 (multiplicity 4)
Cl 0.0000 0.0000 0.5000 (multiplicity 4)

~~~~~

1.
RbScSi2 | GGA-PBE | optimized geometry

The space group is I-42d (No. 122) and the conventional cell measures 5.339, 5.339 and 18.407 Å, with angles of 90.00, 90.00 and 90.00 degrees. The inequivalent atoms are Rb at (0.000, 0.000, 0.000), Sc at (0.000, 0.000, 0.500) and Si at (0.001, 0.750, 0.625).

As for the volume: 32.79 A^3/atom. Its energy above the lowest structure with this stoichiometry is 0 meV/atom.

***

2.
RbScSiTe4 | GGA-PBE | optimized geometry

The space group is P2_1/m (No. 11) and the conventional cell measures 6.962, 7.597 and 10.048 Å, with angles of 90.00, 109.41 and 90.00 degrees. The inequivalent atoms are Rb at (0.223, 0.250, 0.049), Sc at (0.222, 0.250, 0.548), Si at (0.221, 0.750, 0.343), Te at (0.027, 0.507, 0.696), Te at (0.425, 0.750, 0.180) and Te at (0.468, 0.750, 0.588).

As for the volume: 35.81 A^3/atom. The calculation puts the energy at -4.32 eV per atom.

***

3.
RbScTi2Si | GGA-PBE | optimized geometry

The space group is P4/mmm (No. 123) and the conventional cell measures 5.014, 5.014 and 5.248 Å, with angles of 90.00, 90.00 and 90.00 degrees. The inequivalent atoms are Rb at (0.000, 0.000, 0.000), Sc at (0.500, 0.500, 0.500), Ti at (0.000, 0.500, 0.500) and Si at (0.500, 0.500, 0.000).

As for the volume: 26.38 A^3/atom. The calculation puts the energy at -4.61 eV per atom.

***

4.
RbZr2ScSi | GGA-PBE | optimized geometry

The space group is P4/mmm (No. 123) and the conventional cell measures 4.976, 4.976 and 5.425 Å, with angles of 90.00, 90.00 and 90.00 degrees. The inequivalent atoms are Rb at (0.000, 0.000, 0.000), Zr at (0.000, 0.500, 0.000), Sc at (0.500, 0.500, 0.500) and Si at (0.000, 0.000, 0.500).

As for the volume: 26.87 A^3/atom. The calculation puts the energy at -4.07 eV per atom.

***

5.
RbSm2Sc | GGA-PBE | optimized geometry

The space group is R-3m (No. 166, hexagonal axes) and the conventional cell measures 3.6027, 3.6027 and 39.3012 Å, with angles of 90.00, 90.00 and 120.00 degrees. The inequivalent atoms are Rb at (0.0000, 0.0000, 0.0000), Sm at (0.0000, 0.0000, 0.0990) and Sc at (0.0000, 0.0000, 0.5000).

As for the volume: 36.81 A^3/atom. The formation energy is 0.300 eV/atom.

***

6.
____________

What to do
Count the lines above that contain the word "and" and give the number alone.

Worked solution
5